The Swaziland National Association of Teachers (SNAT) has led the country’s teachers in their struggles since 1928, when the country was under British rule. Originally, the organization was conceived as the Swazi National Union of Teachers (SNUT). However, in 1973, the then monarch banned all political parties and public meetings that did not have written permission from the commissioner of police. Trade unions, which were regarded as political organizations, came under increasing crackdown.
The organization was ordered to drop the union status, following which SNAT was formed as an ‘association’. Despite arrests, police assaults and other forms of state repression, the association has been at the forefront of the agitations to further the teachers’ interests. Teachers are among the lowest paid civil servants in the country, which is ruled by an absolute monarch who reigns above the law.
On the International Workers’ Day, in order understand the contemporary struggles of this ‘association’ and the challenges it is tackling, Peoples Dispatch interviewed Njabulo Dlamini, one of the branch leaders of SNAT.
Peoples Dispatch (PD): Tell us about the different issues around which SNAT has organized struggles over the course of the last one year, and about the successes as well as the unresolved issues that remain.
Njabulo Dlamini (ND): For the past three years, SNAT has been pursuing a struggle for cost of living adjustment. It must be mentioned that public servants have been without adjustments to their salaries since 2016. This is amid the ever increasing taxes to sustain the lavish lifestyle of the royal regime of Swaziland. This struggle has seen government attacks on some of the leaders and teacher activists.
On 25 August 2018, after a night vigil that the teachers had organized to pray for [relief] from their conditions of perpetual deliberate impoverishment by the Mswati autocracy, the royal police opened fire and shot comrade Willy Dlamini on his left arm.
Comrade Maxwell Myeni, who showed bravery by blocking the gun wielding police, was arrested and had false charges slapped against him. There is also a case now against the president of the union, the charges against whom are unclear. The charges are constantly increased and altered, which clearly shows a ploy by the regime to bash union activities.
We have other departmental issues that have not yet been resolved. There is the issue of pay according to the value of work performed. Teachers are not well remunerated as compared to other government departments and qualifications do not even matter to the employer, the government.
There is also the casualization of the teaching profession, where the government is now employing teachers on fixed contracts. There is also the looting of the pension fund by the government. In fact, there are plenty of issues that need SNAT’s attention which have been derailed by the struggle for cost of living adjustment.
PD: While the King and his royal family continue their lavish expenditure on luxuries, the budget allocated for public services is being squeezed. How has this affected the teachers?
Calculated crystals, kept here for reference >
# 1
! Rb2NbCuCl6 PBE optimized geometry; values from VASP
! electronic total energy = -0.147 Ha/atom
&SYSTEM
  ibrav = 0, nat = 10, ntyp = 4
/
ATOMIC_SPECIES
Cl 35.45 Cl.upf
Rb 85.47 Rb.upf
Cu 63.55 Cu.upf
Nb 92.91 Nb.upf
ATOMIC_POSITIONS angstrom
Cl 3.090 -1.616 10.704
Cl 4.509 -1.221 4.155
Cl -1.118 -2.611 5.570
Rb 4.854 -0.170 7.554
Cl 0.775 -0.876 2.223
Cl 1.436 -0.004 5.707
Rb -0.328 -1.450 8.857
Cu 1.696 -1.916 4.863
Nb 0.000 0.000 0.000
Cl 2.616 -2.956 7.503
CELL_PARAMETERS angstrom
-3.487 -3.196 6.166
6.878 -0.636 3.560
1.134 2.212 6.685

# 2
! TbPm2Rh3 PBE optimized geometry; values from VASP
! energy relative to the elements = -735 meV/atom
! excess energy over the best structure of this formula in the dataset = 0.02 eV/f.u.
&SYSTEM
  ibrav = 0, nat = 12, ntyp = 3
/
ATOMIC_SPECIES
Pm 145.00 Pm.upf
Rh 102.91 Rh.upf
Tb 158.93 Tb.upf
ATOMIC_POSITIONS angstrom
Pm 1.550 -2.184 2.209
Pm 0.000 0.000 0.000
Rh -0.096 -7.600 0.809
Rh -1.079 -2.701 0.774
Rh -1.686 -5.360 -1.458
Rh 0.493 -4.917 3.016
Pm 0.938 -4.844 0.008
Tb -0.607 -2.664 -2.207
Rh 1.358 -4.748 -2.989
Pm 0.324 -7.504 -2.189
Rh 2.948 -6.989 -0.722
Tb -1.230 -5.317 -4.392
CELL_PARAMETERS angstrom
-3.685 -3.251 -0.628
1.848 -4.730 -5.971
3.099 -4.367 4.419

# 3
! Li2PmPt PBE optimized geometry; values from VASP
! energy relative to the elements = -613 meV/atom
! excess energy over the best structure of this formula in the dataset = 0.00 eV/f.u.
&SYSTEM
  ibrav = 0, nat = 8, ntyp = 3
/
ATOMIC_SPECIES
Pm 145.00 Pm.upf
Pt 195.08 Pt.upf
Li 6.94 Li.upf
ATOMIC_POSITIONS angstrom
Pm 0.392 2.495 1.046
Pt -1.138 5.021 0.540
Pm -2.983 3.440 2.215
Li -2.590 1.041 0.083
Li -4.221 0.456 2.090
Pt -1.453 0.914 2.721
Li -1.754 4.264 5.337
Li -0.001 4.894 3.178
CELL_PARAMETERS angstrom
-3.603 1.597 -2.460
-3.384 -1.215 4.166
0.902 5.744 2.408

# 4
! ZrBeAl PBE optimized geometry; values from VASP
! energy relative to the elements = -186 meV/atom
! excess energy over the best structure of this formula in the dataset = 0.60 eV/f.u.
&SYSTEM
  ibrav = 0, nat = 3, ntyp = 3
/
ATOMIC_SPECIES
Zr 91.22 Zr.upf
Be 9.01 Be.upf
Al 26.98 Al.upf
ATOMIC_POSITIONS angstrom
Zr 0.000 0.000 0.000
Be 2.071 1.196 0.846
Al 4.142 2.391 1.691
CELL_PARAMETERS angstrom
4.142 0.000 0.000
2.071 3.587 0.000
2.071 1.196 3.382

# 5
! KRh PBE optimized geometry; values from VASP
! energy relative to the elements = 403 meV/atom
! excess energy over the best structure of this formula in the dataset = 0.07 eV/f.u.
&SYSTEM
  ibrav = 0, nat = 8, ntyp = 2
/
ATOMIC_SPECIES
Rh 102.91 Rh.upf
K 39.10 K.upf
ATOMIC_POSITIONS angstrom
Rh 2.134 -1.232 4.516
K 2.134 -1.232 11.205
Rh 0.000 0.000 4.516
Rh 0.000 0.000 13.549
K 2.134 1.232 2.172
K 2.134 -1.232 15.893
K 2.134 1.232 6.860
Rh 2.134 1.232 13.549
CELL_PARAMETERS angstrom
2.134 -3.696 0.000
2.134 3.696 0.000
0.000 0.000 18.065

# 6
! Ta3GeBr PBE optimized geometry; values from VASP
! excess energy over the best structure of this formula in the dataset = 0.00 eV/f.u.
&SYSTEM
ND: Resources that would have gone to providing service to the people are channeled to the royal family for their lavish lifestyle, parties and festivities. As the royal family expands, the government opts for tax increase on workers, which then hits hard on the average worker, teachers included. The taxes keep increasing while salaries remain stagnant, and this makes life difficult for teachers who are among the low paid civil servants in the country. More teachers are in debt and survive by borrowing from loan sharks.
PD: What are some of the other unions with which the SNAT has mobilized the teachers for joint struggles?
Next to the text, the page also holds materials data
+++
# 1
K3Ag2Br2Cl5 | Alexandria | PBE | optimized geometry; calculated total energy = -2.921 eV/atom; ΔE_f (raw) = -1.12 eV/atom; crystal system = tetragonal; volume = 352.1 Å³/cell
1.0
5.165 0.000 0.000
0.000 5.165 0.000
-2.583 -2.583 13.198
Cl Br K Ag
5 2 3 2
direct
0.907 0.407 0.814 Cl
0.407 0.907 0.814 Cl
0.093 0.593 0.186 Cl
0.500 0.500 0.000 Cl
0.593 0.093 0.186 Cl
0.698 0.698 0.396 Br
0.302 0.302 0.604 Br
0.826 0.826 0.651 K
0.174 0.174 0.349 K
0.000 0.000 0.000 K
0.596 0.596 0.193 Ag
0.404 0.404 0.807 Ag

***

# 2
BaTc2Rh | Alexandria | PBE | optimized geometry; calculated total energy = -6.647 eV/atom; E_form = 3.4 eV/f.u.; crystal system = tetragonal; volume = 208.1 Å³/cell
1.0
4.814 0.000 0.000
0.000 4.814 0.000
2.407 2.407 8.980
Rh Tc Ba
2 4 2
direct
0.500 0.500 0.000 Rh
0.250 0.750 0.500 Rh
0.375 0.625 0.250 Tc
0.375 0.625 0.750 Tc
0.875 0.625 0.750 Tc
0.375 0.125 0.250 Tc
0.000 0.000 0.000 Ba
0.750 0.250 0.500 Ba

***

# 3
PaMnCu | Alexandria | PBE | optimized geometry; calculated total energy = -7.422 eV/atom; E_form = 0.5 eV/f.u.; crystal system = hexagonal; volume = 53.4 Å³/cell
1.0
-1.399 -2.496 1.259
3.618 -2.443 -0.822
-0.389 2.165 3.860
Pa Mn Cu
1 1 1
direct
0.000 0.000 0.000 Pa
0.500 0.667 0.333 Mn
0.500 0.333 0.667 Cu

***

# 4
TbPm2Er3Te6 | Alexandria | PBE | optimized geometry; calculated total energy = -5.186 eV/atom; ΔE_f (raw) = -1.30 eV/atom; crystal system = monoclinic; volume = 355.8 Å³/cell
1.0
-1.189 2.142 3.578
-4.151 -7.225 2.945
9.511 -1.861 1.647
Er Pm Te Tb
3 2 6 1
direct
0.170 0.834 0.340 Er
0.830 0.166 0.660 Er
0.500 0.500 0.000 Er
0.831 0.664 0.663 Pm
0.169 0.336 0.337 Pm
0.663 0.591 0.326 Te
0.334 0.925 0.668 Te
0.003 0.749 0.007 Te
0.337 0.409 0.674 Te
0.997 0.251 0.993 Te
0.666 0.075 0.332 Te
0.500 0.000 0.000 Tb

***

# 5
YErZnRh | Alexandria | PBE | optimized geometry; calculated total energy = -5.531 eV/atom; E_form = -2.5 eV/f.u.; crystal system = cubic; volume = 84.2 Å³/cell
1.0
-1.417 1.009 -4.602
-4.321 -1.662 -1.664
-3.700 3.142 -0.802
Zn Y Er Rh
1 1 1 1
direct
0.750 0.750 0.750 Zn
0.000 0.000 0.000 Y
0.500 0.500 0.500 Er
0.250 0.250 0.250 Rh

***

# 6
YHo7Er5 | Alexandria | PBE | optimized geometry; calculated total energy = -4.463 eV/atom; E_form = 3.3 eV/f.u.; crystal system = orthorhombic; volume = 420.0 Å³/cell
1.0
6.216 0.000 2.278
2.984 7.958 1.477
0.367 -0.140 8.618
Er Ho Y
5 7 1
direct
0.763 0.737 0.737 Er
0.003 0.459 0.003 Er
0.536 0.003 0.459 Er
0.536 0.459 0.003 Er
0.003 0.003 0.459 Er
0.017 0.315 0.651 Ho
0.580 0.420 0.420 Ho
0.275 0.725 0.725 Ho
0.017 0.651 0.315 Ho
0.270 0.230 0.230 Ho
0.518 0.156 0.808 Ho
0.518 0.808 0.156 Ho
0.965 0.035 0.035 Y

=====

Entry 1:
Here is an optimized crystal structure of Dy2Sc4Sn3O2 from Alexandria via LeMat-Bulk. Energies are from GGA-PBE.

For the calculated density, the calculation gives 6.32 g cm⁻³. For the uncorrected formation energy, the calculation gives -1.55 eV per atom. Its density of states at the Fermi level is 15.5 states/eV per cell.
+++
So much for the materials data
ND: SNAT fights along with other public sector unions: SWADNU, a craft union for nurses, SNAGAP, a union for government accountants, and NAPSAWU, a National Amalgamated Public Servants Union. For issues of common interests, like the cost of living adjustment, these unions embark on joint struggles.
### The entry is interrupted by crystal structures
- - -
(1)
PBE Tl8VSe6, optimized geometry; total moment = 2.0 Bohr magnetons per cell; space-group type = No. 31; formation energy without anion corrections = -386 meV/atom; DFT total energy = -0.134 hartree per atom
1.0
-5.3533 -10.1513 0.8393
4.7173 -3.0325 -6.5895
7.3375 -3.3092 6.7757
Tl V Se
16 2 12
direct
0.3657 0.0000 0.9348
0.5897 0.7757 0.1956
0.0786 0.7373 0.0312
0.2150 0.7362 0.3814
0.2150 0.2638 0.3814
0.6343 0.5000 0.4348
0.8104 0.5000 0.1621
0.0786 0.2627 0.0312
0.4103 0.7243 0.6956
0.9214 0.7627 0.5312
0.4103 0.2757 0.6956
0.9214 0.2373 0.5312
0.1896 0.0000 0.6621
0.7850 0.2362 0.8814
0.5897 0.2243 0.1956
0.7850 0.7638 0.8814
0.3465 0.5000 0.9965
0.6535 0.0000 0.4965
0.6694 0.2277 0.6211
0.3306 0.7277 0.1211
0.6179 0.0000 0.9807
0.5261 0.5000 0.8967
0.3306 0.2723 0.1211
0.6694 0.7723 0.6211
0.3821 0.5000 0.4807
0.0429 0.5000 0.2547
0.8083 0.0000 0.3518
0.1917 0.5000 0.8518
0.9571 0.0000 0.7547
0.4739 0.0000 0.3967


(2)
PBE FeSbSeBr2, optimized geometry; total moment = 0.0 Bohr magnetons per cell; space-group type = No. 123; ΔE to the lowest computed polymorph = 0 meV/atom; formation energy without anion corrections = 270 meV/atom; DFT total energy = -0.133 hartree per atom
1.0
-0.8695 4.3031 -2.0059
-2.3392 -2.1628 -3.6258
-4.1204 0.3181 2.4685
Sb Fe Br Se
1 1 2 1
direct
0.5000 0.5000 0.5000
0.0000 0.0000 0.0000
0.5000 0.0000 0.0000
0.0000 0.5000 0.0000
0.0000 0.0000 0.5000

=====

[1]
# PBE TlCr4Pt, relaxed
# DFT formation energy: 2.30 eV per formula unit
# N(E_F): 6.92 states/eV/f.u.
data_TlCr4Pt
_cell_length_a 6.9469
_cell_length_b 6.9469
_cell_length_c 6.9469
_cell_angle_alpha 90.00
_cell_angle_beta 90.00
_cell_angle_gamma 90.00
_space_group_name_H-M_alt 'F -4 3 m'
_space_group_IT_number 216
_space_group_name_Hall 'F -4 2 3'
loop_
_atom_site_label
_atom_site_type_symbol
_atom_site_fract_x
_atom_site_fract_y
_atom_site_fract_z
_atom_site_occupancy
Tl1 Tl 0.0000 0.0000 0.0000 1
Cr1 Cr 0.1262 0.1262 0.3738 1
Pt1 Pt 0.2500 0.2500 0.7500 1

---

[2]
# PBE ScSiAs, relaxed
# N(E_F): 2.16 states/eV/f.u.
# Formation energy from raw total energies: -0.067 eV/atom
data_ScSiAs
_cell_length_a 6.3581
_cell_length_b 6.3581
_cell_length_c 6.3581
_cell_angle_alpha 90.00
_cell_angle_beta 90.00
_cell_angle_gamma 90.00
_space_group_name_H-M_alt 'F -4 3 m'
_space_group_IT_number 216
_space_group_name_Hall 'F -4 2 3'
loop_
_atom_site_label
_atom_site_type_symbol
_atom_site_fract_x
_atom_site_fract_y
_atom_site_fract_z
_atom_site_occupancy
Sc1 Sc 0.0000 0.0000 0.0000 1
Si1 Si 0.2500 0.2500 0.2500 1
As1 As 0.0000 0.0000 0.5000 1

---

[3]
# PBE CaY2ScC, relaxed
# DFT formation energy: -0.15 eV per formula unit
# N(E_F): 6.64 states/eV/f.u.
data_CaY2ScC
_cell_length_a 5.1570
_cell_length_b 5.1570
_cell_length_c 4.7209
_cell_angle_alpha 90.00
_cell_angle_beta 90.00
_cell_angle_gamma 90.00
_space_group_name_H-M_alt 'P 4/m m m'
_space_group_IT_number 123
_space_group_name_Hall '-P 4 2'
loop_
_atom_site_label
_atom_site_type_symbol
_atom_site_fract_x
- - -
PD: In a country where political parties have been banned, what broader political role do you see the unions playing, beyond the issues affecting the particular sectors whose employees they represent?
ND: At the present moment, unions constitute the most important voices and vehicles that the people of Swaziland can use to advance a liberation struggle as political parties remain banned. Unions, however, have to move beyond the bread and butter issues and confront the real problems affecting their livelihood. It is within their scope of operation to a certain extent and they can use that space. But for that to happen, there is a lot that unions need to work out, which includes cultivating unity of purpose in action. Unity is very crucial.
PD: Lastly, what are the main struggles which SNAT intends to lead over the coming months?
ND: SNAT will be tackling the issue of casualization of the teaching profession and hardship allowances for her members deployed in remote areas where the working conditions are very bad.